Monday, April 17, 2023 11:30AM

Ph.D. Defense

Matthew Rines

(Advisor: Prof. Dimitri Mavris]


"A Methodology for Resilience-Based Design

Of An Environmental Control and Life Support System"


Monday, April 17 

11:30 a.m. EDT
Microsoft Teams Link



A space habitat provides life support to the crew during both normal operation and unexpected circumstances so that they are able to carry out the scientific duties of their mission. As space habitats become more complex and are located farther from Earth, there are increased challenges to ensuring resilience in system performance and crew safety. As a result of these challenges, it is beneficial for resource allocation decision making to be autonomous.

An autonomous resource allocation algorithm reduces the workload of the crew and reliance on terrestrial decision-making. The hostility of space drives the need for rapid decision-making without requiring humans to be in the loop. Furthermore, the inability to plan for all possible situations necessitates a resource allocation strategy that can adapt and learn from experience. The methods used to autonomously learn about changes in the environment also need to be careful not to compromise the safety of the crew.

## Between two parts of the piece: crystal structures
'''
Simulated PXRD pattern
Compound: Li4Y3FeO8
Radiation: Cu Kα
Structure: DFT lattice parameters and positions (PBE+U)

Main lines, low angle first (2θ from 5° to 70°):
| two_theta | Rel. int. |
| --- | --- |
| 22.12 | 1000 |
| 33.53 | 202 |
| 33.95 | 295 |
| 35.48 | 267 |
| 41.24 | 382 |
| 47.29 | 242 |
| 49.61 | 148 |
| 54.16 | 101 |
| 55.51 | 261 |
| 66.43 | 111 |

Cell and atoms:
```
Li4Y3FeO8
1.0
3.093 -5.061 0.000
3.093 5.061 0.000
0.000 0.000 6.197
Li Y Fe O
4 3 1 8
Direct
0.000 0.000 0.000
0.000 0.500 0.249
0.500 0.000 0.751
0.500 0.500 0.500
0.000 0.500 0.743
0.500 0.000 0.257
0.500 0.500 0.000
0.000 0.000 0.500
0.209 0.791 0.500
0.225 0.260 0.738
0.260 0.225 0.262
0.277 0.723 0.000
0.723 0.277 0.000
0.740 0.775 0.262
0.775 0.740 0.738
0.791 0.209 0.500
```
'''

To meet these goals, a methodology was devised and is herein presented for developing resilient resource allocation strategies for an environmental control and life support system (ECLSS) and integrating it into the design of space habitats. Reinforcement learning techniques were investigated to allow rapid ECLSS resource allocations both for nominal and off-nominal situations. Agents were successfully trained through the use of hyperparameter optimization studies to operate an oxygen pressure control assembly in simulation. Soft actor-critic (SAC) was found to perform the task with the least computational resources. The methodology includes the ability to learn from data collected in operation as well as in a priori training simulations in order to better respond to disturbances that the resource allocation algorithm had not previously experienced in simulations and other non-stationary dynamics. Specifically, the agent trained with SAC was then further demonstrated to be able to adapt in a simulated deployment to changes in crew oxygen consumption, cabin leak rates, and degraded injector capabilities.

The learning rate and reward function were found to have strong effects on the agent’s ability adapt to disturbances in real-time. A variety of learning rates were tested to find the optimal balance between responsiveness and volatility. Additionally, two reward functions using linearly and quadratically increasing penalties were compared given the same set of hyperparameters and the linear penalty was found to perform much better in allowing adaptations in this scenario.

Lastly, the methods that were found to perform best for the resilient control of the oxygen pressure control assembly were also applied to a more complex habitat. In this demonstration use-case, agents were trained to control the oxygen generation system, crew activities, and the oxygen pressure control assembly. An agent was successfully trained to operate these systems during a nominal simulation, but its ability to adapt in real-time to unexpected disturbances requires some additional configuration and future work.

This research demonstrates that a resource allocation algorithm utilizing reinforcement learning can be developed to improve the resilience of an existing space habitat or a space habitat that is yet to be designed. By incorporating ECLSS decision making algorithms early in the design process, a better design can be found earlier and more cost effectively.


  • Prof. Dimitri Mavris – School of Aerospace Engineering (advisor)
  • Prof. Glenn Lightsey – School of Aerospace Engineering
  • Prof. Koki Ho – School of Aerospace Engineering
  • Dr. Rodney Martin – NASA Ames Research Center
  • Dr. Michael Balchanos – School of Aerospace Engineering